┌──
(1)
Density functional theory data (ωB97M-V with the def2-TZVPD basis set) for a cluster of 7 separate species, C18H48ClO10 in total in a non-equilibrium geometry.

Output
LUMO level = 2.6844 eV
2S+1 = 1
Kohn-Sham gap = 9.797 eV
Net charge = -1

Last columns: bonded neighbours and bond lengths (Å).
Cartesian coordinates (Å):
1 Cl 15.9381 16.6779 -26.2390  O5 1.447, O7 1.444, O8 1.433, O10 1.443
2 O 18.7578 14.7772 -28.7263  C14 1.416, H55 0.968
3 O 18.9702 18.1203 -21.4198  C20 1.428, H68 0.971
4 O 14.4419 21.4957 -27.7184  C23 1.420, H74 0.969
5 O 16.6683 16.6317 -27.4874  Cl1 1.447
6 O 16.6456 19.1296 -22.8591  C29 1.432, H51 0.964
7 O 14.5280 16.7789 -26.5335  Cl1 1.444
8 O 16.1653 15.5333 -25.4081  Cl1 1.433
9 O 13.0703 18.9712 -27.7176  C28 1.423, H76 0.970
10 O 16.3993 17.8356 -25.5109  Cl1 1.443
11 O 11.6633 13.0106 -23.2015  C24 1.450, H43 0.963
12 C 15.3518 20.9146 -25.5463  C23 1.524, H33 1.094, H48 1.094, H52 1.090
13 C 18.6017 12.9496 -27.1830  C14 1.534, H35 1.097, H47 1.094, H77 1.092
14 C 19.5114 14.0206 -27.7969  O2 1.416, C13 1.534, C25 1.530, H61 1.094
15 C 13.0718 14.9628 -23.0969  C24 1.521, H39 1.088, H67 1.094, H71 1.095
16 C 13.1030 13.3427 -25.1208  C24 1.536, H56 1.091, H65 1.091, H66 1.091
17 C 16.5330 22.4184 -27.1956  C23 1.512, H49 1.089, H58 1.091, H63 1.097
18 C 14.3314 18.9429 -22.2584  C29 1.518, H36 1.091, H38 1.091, H73 1.097
19 C 19.5248 16.0597 -20.3716  C20 1.544, H46 1.092, H54 1.085, H64 1.095
20 C 18.5830 16.7464 -21.3842  O3 1.428, C19 1.544, C21 1.516, H72 1.099
21 C 18.6527 16.1560 -22.7791  C20 1.516, H31 1.089, H44 1.089, H60 1.098
22 C 11.1311 17.6127 -27.2570  C28 1.516, H34 1.094, H42 1.090, H57 1.099
23 C 15.6410 21.2110 -27.0130  O4 1.420, C12 1.524, C17 1.512, H41 1.098
24 C 12.9546 13.5341 -23.6044  O11 1.450, C15 1.521, C16 1.536, H69 1.090
25 C 20.0631 14.9385 -26.7046  C14 1.530, H40 1.089, H50 1.093, H75 1.096
26 C 11.8114 18.1800 -29.6469  C28 1.538, H32 1.103, H59 1.090, H70 1.090
27 C 15.9517 20.2517 -20.7796  C29 1.521, H30 1.092, H37 1.091, H62 1.091
28 C 11.7663 18.6353 -28.1788  O9 1.423, C22 1.516, C26 1.538, H45 1.092
29 C 15.5787 19.8054 -22.1849  O6 1.432, C18 1.518, C27 1.521, H53 1.100
30 H 16.6798 19.6134 -20.2756  C27 1.092
31 H 17.8026 16.5069 -23.3627  C21 1.089
32 H 11.1685 18.7676 -30.3235  C26 1.103
33 H 15.0043 21.8350 -25.0684  C12 1.094
34 H 10.0863 17.4408 -27.5338  C22 1.094
35 H 17.7702 13.4622 -26.6847  C13 1.097
36 H 14.5812 17.9059 -22.0293  C18 1.091
37 H 15.0566 20.2999 -20.1579  C27 1.091
38 H 13.7736 18.9642 -23.1961  C18 1.091
39 H 13.2440 14.9485 -22.0226  C15 1.088
40 H 20.5158 15.8245 -27.1468  C25 1.089
41 H 16.1343 20.3167 -27.4161  C23 1.098
42 H 11.6469 16.6837 -27.0151  C22 1.090
43 H 11.0550 13.2203 -23.9173  O11 0.963
44 H 19.6057 16.3550 -23.2680  C21 1.089
45 H 11.2130 19.5740 -28.1069  C28 1.092
46 H 20.3148 15.5264 -20.9038  C19 1.092
47 H 19.0716 12.2881 -26.4488  C13 1.094
48 H 16.2579 20.5440 -25.0576  C12 1.094
49 H 16.9446 22.4445 -28.2029  C17 1.089
50 H 19.2992 15.2438 -25.9856  C25 1.093
51 H 16.3333 18.7201 -23.6734  O6 0.964
52 H 14.6305 20.1097 -25.4015  C12 1.090
53 H 15.4492 20.7388 -22.7518  C29 1.100
54 H 19.9253 16.7282 -19.6164  C19 1.085
55 H 18.1478 15.3189 -28.2058  O2 0.968
56 H 12.6567 14.2032 -25.6217  C16 1.091
57 H 11.0434 18.0815 -26.2666  C22 1.099
58 H 16.0600 23.3611 -26.9184  C17 1.091
59 H 12.7518 18.3970 -30.1545  C26 1.090
60 H 18.5714 15.0624 -22.7304  C21 1.098
61 H 20.2913 13.4836 -28.3457  C14 1.094
62 H 16.3386 21.2713 -20.7900  C27 1.091
63 H 17.3776 22.3477 -26.4984  C17 1.097
64 H 18.9217 15.3008 -19.8618  C19 1.095
65 H 12.6688 12.3861 -25.4141  C16 1.091
66 H 14.1482 13.2532 -25.4223  C16 1.091
67 H 12.1924 15.5779 -23.3102  C15 1.094
68 H 18.3458 18.5799 -22.0048  O3 0.971
69 H 13.6623 12.8431 -23.1462  C24 1.090
70 H 11.4298 17.1627 -29.7307  C26 1.090
71 H 13.8370 15.5602 -23.6036  C15 1.095
72 H 17.5658 16.6177 -20.9882  C20 1.099
73 H 13.6137 19.3220 -21.5207  C18 1.097
└──
Repeat all of the block above exactly.
(1)
Density functional theory data (ωB97M-V with the def2-TZVPD basis set) for a cluster of 7 separate species, C18H48ClO10 in total in a non-equilibrium geometry.

Output
LUMO level = 2.6844 eV
2S+1 = 1
Kohn-Sham gap = 9.797 eV
Net charge = -1

Last columns: bonded neighbours and bond lengths (Å).
Cartesian coordinates (Å):
1 Cl 15.9381 16.6779 -26.2390  O5 1.447, O7 1.444, O8 1.433, O10 1.443
2 O 18.7578 14.7772 -28.7263  C14 1.416, H55 0.968
3 O 18.9702 18.1203 -21.4198  C20 1.428, H68 0.971
4 O 14.4419 21.4957 -27.7184  C23 1.420, H74 0.969
5 O 16.6683 16.6317 -27.4874  Cl1 1.447
6 O 16.6456 19.1296 -22.8591  C29 1.432, H51 0.964
7 O 14.5280 16.7789 -26.5335  Cl1 1.444
8 O 16.1653 15.5333 -25.4081  Cl1 1.433
9 O 13.0703 18.9712 -27.7176  C28 1.423, H76 0.970
10 O 16.3993 17.8356 -25.5109  Cl1 1.443
11 O 11.6633 13.0106 -23.2015  C24 1.450, H43 0.963
12 C 15.3518 20.9146 -25.5463  C23 1.524, H33 1.094, H48 1.094, H52 1.090
13 C 18.6017 12.9496 -27.1830  C14 1.534, H35 1.097, H47 1.094, H77 1.092
14 C 19.5114 14.0206 -27.7969  O2 1.416, C13 1.534, C25 1.530, H61 1.094
15 C 13.0718 14.9628 -23.0969  C24 1.521, H39 1.088, H67 1.094, H71 1.095
16 C 13.1030 13.3427 -25.1208  C24 1.536, H56 1.091, H65 1.091, H66 1.091
17 C 16.5330 22.4184 -27.1956  C23 1.512, H49 1.089, H58 1.091, H63 1.097
18 C 14.3314 18.9429 -22.2584  C29 1.518, H36 1.091, H38 1.091, H73 1.097
19 C 19.5248 16.0597 -20.3716  C20 1.544, H46 1.092, H54 1.085, H64 1.095
20 C 18.5830 16.7464 -21.3842  O3 1.428, C19 1.544, C21 1.516, H72 1.099
21 C 18.6527 16.1560 -22.7791  C20 1.516, H31 1.089, H44 1.089, H60 1.098
22 C 11.1311 17.6127 -27.2570  C28 1.516, H34 1.094, H42 1.090, H57 1.099
23 C 15.6410 21.2110 -27.0130  O4 1.420, C12 1.524, C17 1.512, H41 1.098
24 C 12.9546 13.5341 -23.6044  O11 1.450, C15 1.521, C16 1.536, H69 1.090
25 C 20.0631 14.9385 -26.7046  C14 1.530, H40 1.089, H50 1.093, H75 1.096
26 C 11.8114 18.1800 -29.6469  C28 1.538, H32 1.103, H59 1.090, H70 1.090
27 C 15.9517 20.2517 -20.7796  C29 1.521, H30 1.092, H37 1.091, H62 1.091
28 C 11.7663 18.6353 -28.1788  O9 1.423, C22 1.516, C26 1.538, H45 1.092
29 C 15.5787 19.8054 -22.1849  O6 1.432, C18 1.518, C27 1.521, H53 1.100
30 H 16.6798 19.6134 -20.2756  C27 1.092
31 H 17.8026 16.5069 -23.3627  C21 1.089
32 H 11.1685 18.7676 -30.3235  C26 1.103
33 H 15.0043 21.8350 -25.0684  C12 1.094
34 H 10.0863 17.4408 -27.5338  C22 1.094
35 H 17.7702 13.4622 -26.6847  C13 1.097
36 H 14.5812 17.9059 -22.0293  C18 1.091
37 H 15.0566 20.2999 -20.1579  C27 1.091
38 H 13.7736 18.9642 -23.1961  C18 1.091
39 H 13.2440 14.9485 -22.0226  C15 1.088
40 H 20.5158 15.8245 -27.1468  C25 1.089
41 H 16.1343 20.3167 -27.4161  C23 1.098
42 H 11.6469 16.6837 -27.0151  C22 1.090
43 H 11.0550 13.2203 -23.9173  O11 0.963
44 H 19.6057 16.3550 -23.2680  C21 1.089
45 H 11.2130 19.5740 -28.1069  C28 1.092
46 H 20.3148 15.5264 -20.9038  C19 1.092
47 H 19.0716 12.2881 -26.4488  C13 1.094
48 H 16.2579 20.5440 -25.0576  C12 1.094
49 H 16.9446 22.4445 -28.2029  C17 1.089
50 H 19.2992 15.2438 -25.9856  C25 1.093
51 H 16.3333 18.7201 -23.6734  O6 0.964
52 H 14.6305 20.1097 -25.4015  C12 1.090
53 H 15.4492 20.7388 -22.7518  C29 1.100
54 H 19.9253 16.7282 -19.6164  C19 1.085
55 H 18.1478 15.3189 -28.2058  O2 0.968
56 H 12.6567 14.2032 -25.6217  C16 1.091
57 H 11.0434 18.0815 -26.2666  C22 1.099
58 H 16.0600 23.3611 -26.9184  C17 1.091
59 H 12.7518 18.3970 -30.1545  C26 1.090
60 H 18.5714 15.0624 -22.7304  C21 1.098
61 H 20.2913 13.4836 -28.3457  C14 1.094
62 H 16.3386 21.2713 -20.7900  C27 1.091
63 H 17.3776 22.3477 -26.4984  C17 1.097
64 H 18.9217 15.3008 -19.8618  C19 1.095
65 H 12.6688 12.3861 -25.4141  C16 1.091
66 H 14.1482 13.2532 -25.4223  C16 1.091
67 H 12.1924 15.5779 -23.3102  C15 1.094
68 H 18.3458 18.5799 -22.0048  O3 0.971
69 H 13.6623 12.8431 -23.1462  C24 1.090
70 H 11.4298 17.1627 -29.7307  C26 1.090
71 H 13.8370 15.5602 -23.6036  C15 1.095
72 H 17.5658 16.6177 -20.9882  C20 1.099
73 H 13.6137 19.3220 -21.5207  C18 1.097